Request:
Next, quote every line further down that contains the word "this".
Data:
********
No. 1
This record from Materials Project describes a geometry-optimized BaDy2S4 structure. The functional is PBE.

* total energy after the MP2020 corrections: -6.378 eV per atom
* crystal system: orthorhombic

Cell: 4.0637 12.3461 14.5891 Å, 90.00 90.00 90.00°
Atoms (fractional coordinates):
Ba  0.2500  0.7590  0.3372
Ba  0.2500  0.2590  0.1628
Ba  0.7500  0.2410  0.6628
Ba  0.7500  0.7410  0.8372
Dy  0.2500  0.4353  0.3909
Dy  0.2500  0.9353  0.1091
Dy  0.7500  0.5647  0.6091
Dy  0.7500  0.0647  0.8909
Dy  0.2500  0.4195  0.8990
Dy  0.2500  0.9195  0.6010
Dy  0.7500  0.5805  0.1010
Dy  0.7500  0.0805  0.3990
S  0.2500  0.2053  0.8374
S  0.2500  0.7053  0.6626
S  0.7500  0.7947  0.1626
S  0.7500  0.2947  0.3374
S  0.2500  0.1228  0.5243
S  0.2500  0.6228  0.9757
S  0.7500  0.8772  0.4757
S  0.7500  0.3772  0.0243
S  0.2500  0.5251  0.2165
S  0.2500  0.0251  0.2835
S  0.7500  0.4749  0.7835
S  0.7500  0.9749  0.7165
S  0.2500  0.4181  0.5763
S  0.2500  0.9181  0.9237
S  0.7500  0.5819  0.4237
S  0.7500  0.0819  0.0763

No. 2
This record from Materials Project describes a geometry-optimized BaDy2Se4 structure. The functional is PBE.

* total energy after the MP2020 corrections: -5.831 eV per atom
* crystal system: orthorhombic

Cell: 4.2178 12.8832 15.1862 Å, 90.00 90.00 90.00°
Atoms (fractional coordinates):
Ba  0.2500  0.7565  0.3371
Ba  0.2500  0.2565  0.1629
Ba  0.7500  0.2435  0.6629
Ba  0.7500  0.7435  0.8371
Dy  0.2500  0.4337  0.3903
Dy  0.2500  0.9337  0.1097
Dy  0.7500  0.5663  0.6097
Dy  0.7500  0.0663  0.8903
Dy  0.2500  0.4206  0.9002
Dy  0.2500  0.9206  0.5998
Dy  0.7500  0.5794  0.0998
Dy  0.7500  0.0794  0.4002
Se  0.2500  0.2070  0.8338
Se  0.2500  0.7070  0.6662
Se  0.7500  0.7930  0.1662
Se  0.7500  0.2930  0.3338
Se  0.2500  0.1262  0.5248
Se  0.2500  0.6262  0.9752
Se  0.7500  0.8738  0.4752
Se  0.7500  0.3738  0.0248
Se  0.2500  0.5241  0.2164
Se  0.2500  0.0241  0.2836
Se  0.7500  0.4759  0.7836
Se  0.7500  0.9759  0.7164
Se  0.2500  0.4180  0.5768
Se  0.2500  0.9180  0.9232
Se  0.7500  0.5820  0.4232
Se  0.7500  0.0820  0.0768

No. 3
This record from Materials Project describes a geometry-optimized BaDy2Te4 structure. The functional is PBE.

* total energy after the MP2020 corrections: -5.169 eV per atom
* crystal system: orthorhombic

Cell: 4.4887 13.8222 16.3153 Å, 90.00 90.00 90.00°
Atoms (fractional coordinates):
Ba  0.7500  0.2612  0.8305
Ba  0.2500  0.7388  0.1695
Ba  0.7500  0.7612  0.6695
Ba  0.2500  0.2388  0.3305
Dy  0.2500  0.0806  0.5965
Dy  0.7500  0.9194  0.4035
Dy  0.2500  0.5806  0.9035
Dy  0.7500  0.4194  0.0965
Dy  0.7500  0.9405  0.8904
Dy  0.2500  0.0595  0.1096
Dy  0.7500  0.4405  0.6096
Dy  0.2500  0.5595  0.3904
Te  0.2500  0.4728  0.2159
Te  0.7500  0.5272  0.7841
Te  0.2500  0.9728  0.2841
Te  0.7500  0.0272  0.7159
Te  0.2500  0.3727  0.9715
Te  0.7500  0.6273  0.0285
Te  0.2500  0.8727  0.5285
Te  0.7500  0.1273  0.4715
Te  0.2500  0.2950  0.6608
Te  0.7500  0.7050  0.3392
Te  0.2500  0.7950  0.8392
Te  0.7500  0.2050  0.1608
Te  0.7500  0.4102  0.4236
Te  0.2500  0.5898  0.5764
Te  0.7500  0.9102  0.0764
Te  0.2500  0.0898  0.9236

No. 4
This record from Materials Project describes a geometry-optimized Ba3Er structure. The functional is PBE.

* energy above the lowest structure with this stoichiometry: 0.000 eV per atom
* crystal system: hexagonal
* total moment: 0.145 μB/f.u.

Cell: 8.4200 8.4200 6.7272 Å, 90.00 90.00 120.00°
Atoms (fractional coordinates):
Ba  0.1722  0.3444  0.2500
Ba  0.6556  0.8278  0.2500
Ba  0.1722  0.8278  0.2500
Ba  0.8278  0.6556  0.7500
Ba  0.3444  0.1722  0.7500
Ba  0.8278  0.1722  0.7500
Er  0.3333  0.6667  0.7500
Er  0.6667  0.3333  0.2500

No. 5
This record from Materials Project describes a geometry-optimized Ba3Er structure. The functional is PBE.

* energy above the lowest structure with this stoichiometry: 0.017 eV per atom
* crystal system: tetragonal
* total moment: 0.007 μB/f.u.

Cell: 7.2181 7.2181 7.2181 Å, 131.97 131.97 70.28°
********
Solution:
* energy above the lowest structure with this stoichiometry: 0.000 eV per atom
* energy above the lowest structure with this stoichiometry: 0.017 eV per atom